NB: a couple of weeks ago I received my first notice from google about one of my posts being barred. I didn’t protest or anything. The post already had its run, and was even picked up at LRC. So, it was out there. Strangely, a few days later, it magically re-appeared. As of this writing, it is still up.
Why do I bring this up now? Well, this might be number two in the series.
To Save America, Restore Our Frontier: Restoring accountability in America is the fight of our times, by Joe Lonsdale
The section I will focus on is entitled Unaccountable, Declining Institutions Prefer Wokey (link). Lonsdale’s argument is that the woke mind virus (WMV) is “the perfect philosophy for unaccountable power.”
The WMV is the perfect nihilist philosophy for kludge and decline. It’s a circus being put on by the least accountable people and institutions on Earth.
Universities, growing on the back of guaranteed student loans, have departments in the dozens, even hundreds, working to stoke this virus. Almost none of these people are qualified to do anything that society would pay for absent the temporarily “free” money doled out by the state. Governments have countless tens-of-thousands of employees doing the same – and I expect the market demand for those individuals qualified to perform such WMV services also approaches zero.
But it isn’t that they aren’t qualified to even find their way out of a paper bag. They are not even held accountable for the success or failure of the virtually useless task to which they are assigned. Every failure is merely an opportunity for a bigger budget, a promotion, a new program.
Lonsdale notes the French radicals of the 1960s as providing philosophical cover for the WMV, but it is the unaccountable institutions that are the main driving force behind the movement in our societies.
So, “fighting wokeness” is the wrong strategy. We ought not spend time and energy fighting battles at the surface level while losing an institutional war underneath. The first step is to identify where it prospers most. Here’s a non-exhaustive list:
- Federal and state bureaucracies
- Big Tech monopolies
- Giant banks
- Crony companies, like in healthcare and defense
- Hospital monopolies
- NGOs (often funded by government)
- Universities
- Museums
- Longstanding charitable foundations
- Public schools and other union-dominated government areas
In other words, institutions and entities that require little, if any, market-derived support; institutions that have the government and its printing press and regulatory framework on their side. They truly are unaccountable to the market and unaccountable for success toward even their stated objectives, therefore have little need to respond to market pressure.
I would add to the list: automotive companies and airlines. Very few, if any, companies in these industries would survive without government support – and this has been demonstrated repeatedly over the years via bailouts and subsidies.
I am sure the list is longer; it is mind-blowing to think how significant a percentage such companies are of the overall economy – both in terms of output and in terms of employment.
This is the key realization: the ascendance of the WMV in a weapons company is a reaction — a ploy to protect themselves from accountability and competition as they work the system for money. What all these areas have in common, whether for profit or not-for-profit, large or small, is that they are unaccountable to results, and wield power to shut others out.
What I cannot really gather from the article is any real connection to causation. There certainly is correlation. In addition to those unaccountable industries listed by Lonsdale as having embraced the WMV, there is the other side. At least anecdotally it is my experience that companies and entities that derive revenue primarily from market sources are less inclined to play such games. But this is anecdotal.
Maybe another clue can be found here: the glorification of sub-mediocrity, by el gato malo.
one of the most ineffaceable truisms of organizational structure is this: A’s hire A’s and B’s hire C’s.
If you are an institution who derives revenue from basically guaranteed or otherwise protected sources, with little need to compete in a market of individuals spending their own money, why hire any A’s? If you are an A, why would you want to work in an environment that offers no challenge, an environment where every failure is met with the reward of a bigger budget? It seems contrary to the character of an A to do so. Eventually, you end up with B’s at best, and C’s (or lower) to follow.
Excellence likes to surround itself with excellence; excellence wants to compete, to demonstrate or prove excellence. Mediocrities want to ensure no one has the ability to rise above.
A’s don’t sweat this because competing is what they do. but B’s live in terror of it. and this is why the B’s and C’s love “woke”, ESG, and DEI:
these alleged philosophies of inclusion are, in fact, ideologies of exclusion. and what they seek to exclude is excellence and meritocracy.
it’s the literal point of the practice and it’s the reason that so many weakling leaders gravitate to them: it’s job security for the unqualified wrapped up in a neat little philosophy that makes self-serving nepotism and plunder look like virtue.
Are the leaders of institutions that have embraced the WMV simply cowards, afraid of being called out by the mob? Or are they merely Bs and Cs who have discovered that by embracing such a view they can remain on top – while, at the same time, ensuring no competition for the top jobs as no As would want to spend time in an environment where mediocrity is promoted and advanced?
## What comes next are crystal structures, not part of the page
+++
Entry 1:
DFT (PBE+U) results for a relaxed CaPrHfFeO6 crystal.

Computed properties:
volume: 129.6 Å³/cell
calculated formation energy: -3019 kJ/mol of formula units
E_tot: -7.98 eV per atom

abc: 5.6803 5.6803 5.6803
angles: 60.00 60.00 60.00
Atoms (fractional coordinates):
1 Ca 0.7500 0.7500 0.7500
2 Pr 0.2500 0.2500 0.2500
3 Hf 0.5000 0.5000 0.5000
4 Fe 0.0000 0.0000 0.0000
5 O 0.7535 0.2465 0.2465
6 O 0.2465 0.7535 0.7535
7 O 0.7535 0.2465 0.7535
8 O 0.2465 0.7535 0.2465
9 O 0.7535 0.7535 0.2465
10 O 0.2465 0.2465 0.7535

Entry 2:
DFT (PBE+U) results for a relaxed NiH24C4S4N8Cl2O8 crystal.

Computed properties:
volume: 597.0 Å³/cell
calculated formation energy: -2443 kJ/mol of formula units
E_tot: -5.25 eV per atom

abc: 8.5488 8.9026 9.0647
angles: 74.71 76.92 64.81
Atoms (fractional coordinates):
1 Ni 0.0000 0.0000 0.0000
2 H 0.6038 0.6057 0.3874
3 H 0.3962 0.3943 0.6126
4 H 0.7345 0.3824 0.4088
5 H 0.2655 0.6176 0.5912
6 H 0.8276 0.5351 0.3003
7 H 0.1724 0.4649 0.6997
8 H 0.8280 0.3742 0.9746
9 H 0.1720 0.6258 0.0254
10 H 0.6713 0.1950 0.1293
11 H 0.3287 0.8050 0.8707
12 H 0.8183 0.1311 0.2473
13 H 0.1817 0.8689 0.7527
14 H 0.6472 0.7628 0.5906
15 H 0.3528 0.2372 0.4094
16 H 0.7721 0.6859 0.7485
17 H 0.2279 0.3141 0.2515
18 H 0.8681 0.7513 0.5545
19 H 0.1319 0.2487 0.4455
20 H 0.8502 0.0876 0.7099
21 H 0.1498 0.9124 0.2901
22 H 0.6781 0.0218 0.9600
23 H 0.3219 0.9782 0.0400
24 H 0.8258 0.8280 0.9628
25 H 0.1742 0.1720 0.0372
26 C 0.7107 0.5062 0.3328
27 C 0.2893 0.4938 0.6672
28 C 0.7493 0.7727 0.6373
29 C 0.2507 0.2273 0.3627
30 S 0.6408 0.5068 0.1630
31 S 0.3592 0.4932 0.8370
32 S 0.6681 0.9815 0.6697
33 S 0.3319 0.0185 0.3303
34 N 0.8079 0.3433 0.0935
35 N 0.1921 0.6567 0.9065
36 N 0.7953 0.1822 0.1350
37 N 0.2047 0.8178 0.8650
38 N 0.8263 0.9787 0.7544
39 N 0.1737 0.0213 0.2456
40 N 0.8045 0.9526 0.9187
41 N 0.1955 0.0474 0.0813
42 Cl 0.0099 0.7759 0.2215
43 Cl 0.9901 0.2241 0.7785
44 O 0.4841 0.4720 0.2072
45 O 0.5159 0.5280 0.7928
46 O 0.6422 0.6557 0.0494
47 O 0.3578 0.3443 0.9506
48 O 0.5084 0.0111 0.7761
49 O 0.4916 0.9889 0.2239
50 O 0.6699 0.0974 0.5228
51 O 0.3301 0.9026 0.4772

Entry 3:
DFT (PBE+U) results for a relaxed LiMn3O5F crystal.

Computed properties:
volume: 103.8 Å³/cell
calculated formation energy: -2029 kJ/mol of formula units
E_tot: -6.82 eV per atom

abc: 5.0924 5.4802 4.9533
angles: 115.24 62.81 118.91
Atoms (fractional coordinates):
1 Li 0.8493 0.6024 0.8995
2 Mn 0.1661 0.4341 0.1254
3 Mn 0.6541 0.9818 0.6585
4 Mn 0.3556 0.0392 0.3331
5 O 0.0607 0.2153 0.4132
6 O 0.5216 0.7539 0.2894
7 O 0.2702 0.7582 0.9504
8 O 0.7705 0.2408 0.0327
9 O 0.4519 0.2278 0.7243
10 F 0.8999 0.7465 0.5735

Entry 4:
DFT (PBE+U) results for a relaxed BaNaSmWO6 crystal.

Computed properties:
volume: 604.0 Å³/cell
calculated formation energy: -2780 kJ/mol of formula units
E_tot: -7.09 eV per atom

abc: 8.4134 8.4631 8.4835
angles: 90.00 90.00 90.00
Atoms (fractional coordinates):
1 Ba 0.0000 0.0000 0.0000
2 Ba 0.5000 0.5000 0.5000
+++
## The crystal structures stop here
el gato then cites Frederic Bastiat:
When plunder becomes a way of life for a group of men in a society, over the course of time they create for themselves a legal system that authorizes it and a moral code that glorifies it.
So, for the B’s and C’s to stay on top, they have to derive a system – both legal and cultural – where it is possible, at least for a time, that mediocrity derives advancement and revenue. el gato describes this as literally what “woke” is.
DEI is a set of made-up, non-market driven rules to ensure that the mediocre have a place on top. ESG is the same for industry – compete on factors other than satisfying customers, therefore, once again, the mediocre have a seat at the head of the table.
and this is how the world has become such an intolerable and increasingly dysfunctional mess. it’s rule by rube and ideological invasion and inversion of best practice and sound function.
Correlation or causation? I am not sure; I hadn’t really thought about what is going on in our society in the terms presented in these two articles. It certainly is clear that many things in the country (and the West) no longer “work.” Thousands of airline cancellations a day, trains derailing, banks failing, food shortages, an ever-increasing list of wars lost, cities governed by the most woke are also the most dysfunctional. The list is endless.
Perhaps there is something to this idea touched on in these two articles. Let’s see what the discussion offers.
Reprinted with permission from Bionic Mosquito.